_What to do_
It remains to search the notes below for the word "Relative" and print each line that has it.

_Input_
____________
Record 1
Formula: B3BeH12
Source: the Open Molecules 2025 dataset
Level of theory: ωB97M-V/def2-TZVPD

Structure (XYZ):
```
16
Properties=species:S:1:pos:R:3:forces:R:3:lowdin_charge:R:1
Be 23.331 0.540 20.355 0.2 -1.7 -0.6 0.962
B 21.524 -1.281 20.429 0.5 2.0 0.2 -0.389
H 22.098 -1.196 19.520 2.2 0.5 -3.8 -0.083
H 20.925 -2.178 20.401 -2.2 -3.2 -0.2 -0.031
H 22.172 -1.351 21.289 2.7 -0.3 3.4 -0.082
H 20.936 -0.392 20.592 -3.0 3.7 0.4 -0.083
B 24.730 -1.684 20.358 -0.7 1.0 0.6 -0.401
H 25.372 -0.832 20.516 3.2 3.9 0.7 -0.076
H 25.299 -2.565 20.102 2.6 -3.0 -1.1 -0.048
H 24.214 -1.874 21.286 -2.1 -0.8 3.2 -0.077
H 24.085 -1.520 19.509 -2.7 0.8 -3.3 -0.087
B 23.836 2.970 20.066 -0.7 -2.1 0.3 -0.352
H 24.069 4.010 19.895 1.0 3.6 -0.6 -0.038
H 22.771 2.885 19.916 -4.6 -0.4 -0.2 -0.073
H 24.283 2.365 19.292 2.2 -2.7 -3.3 -0.074
H 24.184 2.663 21.040 1.3 -1.4 4.2 -0.069
```
Positions in Å, forces in eV/Å.

Calculated values
Frontier orbital gap   7.4 eV
Total charge   -1
Relative energy (zero: lowest compared OMol25 entry of this formula, charge and spin)   8.94 kcal/mol

=====

Record 2
Formula: C3H2BrNO2S
Source: the Open Molecules 2025 dataset
Level of theory: ωB97M-V/def2-TZVPD

Structure (XYZ):
```
10
Properties=species:S:1:pos:R:3:forces:R:3:lowdin_charge:R:1
C 0.834 1.118 0.482 0.0 0.5 2.5 -0.268
C 0.420 1.516 -0.661 -2.1 0.3 -3.7 -0.508
C 1.061 -1.353 0.722 1.2 1.3 0.4 0.011
N 1.110 -0.182 0.689 0.5 -2.4 0.4 -0.031
O -1.955 -0.997 0.772 0.1 0.2 0.6 -0.432
O -0.980 -2.450 -0.871 0.0 -0.5 0.4 -0.478
S -1.164 -2.171 0.529 -1.2 -0.3 -1.2 0.770
Br 0.123 0.365 -2.138 0.5 0.2 0.1 0.754
H 0.685 1.747 1.352 0.5 0.0 0.0 0.134
H -0.133 2.407 -0.876 0.5 0.8 0.4 0.049
```
Positions in Å, forces in eV/Å.

Calculated values
Frontier orbital gap   8.9 eV
Total charge   0
Relative energy (zero: lowest compared OMol25 entry of this formula, charge and spin)   28.15 kcal/mol

=====

| no. | E (eV) | E_HOMO (eV) | LUMO energy (eV) |
| --- | --- | --- | --- |
| 1 | -2616.84299 | -5.62 | 1.8 |
| 2 | -89603.06730 | -10.00 | -1.1 |

----------

Formula: C20H58N2O8
Source: the OMol25 dataset
Level of theory: ωB97M-V/def2-TZVPD

Computed properties:
HOMO level = -8.9626 eV
SMILES string = COC[C@H](C)N.COC[C@H](C)N.CCO.CCO.CCO.CCO.CCO.CCO
Energy above the lowest of the compared OMol25 structures with the same formula, charge and spin = 259.2 kJ/mol
Orbital gap = 0.339 Ha

```
! wB97M-V def2-TZVPD RIJCOSX def2/J DEFGRID3
* xyz 0 1
C -0.52376 13.90070 -12.02529
C 0.88138 13.53703 -11.69917
C 1.89230 14.27896 -12.60923
O 1.84646 13.62217 -13.82905
C 2.77626 14.25207 -14.72699
N 1.04341 13.68197 -10.27691
H -1.29923 13.39655 -11.44861
H -0.72488 13.56545 -13.04276
H -0.77385 14.96131 -11.99978
H 0.89366 12.45128 -11.79438
H 2.87317 14.32259 -12.13585
H 1.44284 15.23285 -12.88520
H 2.74707 13.71711 -15.67623
H 3.80520 14.33555 -14.37710
H 2.46656 15.25258 -15.02894
H 2.01493 13.72792 -10.00462
H 0.62115 12.86444 -9.86042
C -7.65290 17.16860 -8.90160
C -6.49027 16.27971 -8.32646
C -5.14980 16.94723 -8.12042
O -4.35075 16.75796 -9.24842
C -3.37224 15.78209 -9.21482
N -6.93464 15.66149 -7.07850
H -8.15152 17.97676 -8.36649
H -8.43762 16.47741 -9.20917
H -7.30410 17.68144 -9.79795
H -6.33269 15.46812 -9.03680
H -4.69975 16.55355 -7.20905
H -5.40812 17.98903 -7.93064
H -3.04079 15.76476 -10.25306
H -3.87807 14.83676 -9.01835
H -2.57058 16.01385 -8.51359
H -7.74575 15.12077 -7.34274
H -6.36075 14.86164 -6.85269
C -5.75549 13.23411 -11.22990
C -4.36421 12.99325 -11.81320
O -3.68057 12.39668 -10.75545
H -6.59761 13.31391 -11.91733
H -5.73138 14.14357 -10.62957
H -6.04677 12.34381 -10.67256
H -4.04436 14.02014 -11.99005
H -4.44168 12.41780 -12.73567
H -3.70979 11.44276 -10.85937
C -6.58505 10.73078 -7.65023
C -6.79150 12.26392 -7.51064
O -5.87708 12.68503 -6.51081
H -5.60652 10.48017 -8.05988
H -7.29484 10.28131 -8.34468
H -6.78231 10.16522 -6.73955
H -7.81233 12.60178 -7.33212
H -6.56874 12.81559 -8.42396
H -4.96012 12.53486 -6.75210
C -7.53489 13.58826 -15.10673
____________

_Solution_
Relative energy (zero: lowest compared OMol25 entry of this formula, charge and spin)   8.94 kcal/mol
Relative energy (zero: lowest compared OMol25 entry of this formula, charge and spin)   28.15 kcal/mol